U. S. Government Printing Office
Office of the General Counsel
Contract Appeals Board

• Data records from another source follow:
********
Record 1
A 6-piece molecular cluster, CH14NO6 overall in a non-equilibrium geometry. Source: the OMol25 dataset; level of theory: ωB97M-V with the def2-TZVPD basis set.

```
22
Properties=species:S:1:pos:R:3:forces:R:3
H -1.516398 2.351339 -0.102995 -0.73 1.22 0.36
H -0.133349 -1.762371 -1.531993 0.19 -0.12 0.38
H -2.419333 1.656534 -0.821823 -1.37 0.16 -0.12
H 1.619070 -0.428246 2.677019 -0.19 0.14 -0.28
H 0.944260 -2.044009 -0.085618 0.58 -1.02 -0.29
H 0.293576 1.199553 -0.854317 0.11 -0.23 0.37
H 1.468630 0.091226 -1.937927 0.03 -0.16 -0.32
H 0.806198 2.706280 -0.844874 0.05 -0.20 0.11
H 2.556273 -0.735485 -1.139506 0.48 -0.05 0.34
O 2.345079 -0.544314 2.053570 0.42 -0.10 0.08
H 1.961241 -0.316418 1.194380 -0.42 0.07 0.10
O 0.407422 2.026649 -1.393926 -0.10 0.39 -0.34
H -1.417838 -0.441940 -0.399419 -1.16 -0.32 0.54
O 0.117666 -0.255005 -0.103278 -0.16 -0.45 -0.51
O -0.722449 -0.516924 2.352659 0.22 -0.44 -0.11
H -0.464850 -0.524485 1.371624 0.10 0.35 0.34
C 0.636355 -1.355015 -0.853260 -0.29 2.28 -0.08
O -2.418263 -0.693111 -0.516033 0.56 0.23 -0.80
O -2.475851 2.493866 -0.312135 1.92 -1.41 -0.24
H -0.437223 -1.390498 2.647787 -0.21 0.09 0.03
H -2.894053 -0.653578 0.315027 0.48 0.18 0.24
N 1.743837 -0.864050 -1.714963 -0.50 -0.62 0.20
```
Forces are in eV/Å.

## Properties
ΔE to the lowest compared entry with this formula, charge and spin: 15.2 kcal/mol
Total charge: -1

Now the Mulliken charges, all in e: 0.3184, 0.2926, 0.3678, 0.3282, 0.3190, 0.3209, 0.3017, 0.3065, 0.3274, -0.6965, 0.3139, -0.7161, 0.4453, -0.7631, -0.7685, 0.3237, -0.4229, -0.7439, -0.6871, 0.2976, 0.3057, -0.7705

=====

Record 2
C16H34N9PdS as an isolated structure. Source: the OMol25 dataset; level of theory: ωB97M-V with the def2-TZVPD basis set.

```
61
Properties=species:S:1:pos:R:3:forces:R:3
H 3.661374 0.908426 -3.579080 0.00 -0.01 0.00
C 3.461347 -0.167411 -3.562481 0.01 0.02 0.03
H -1.709573 -1.557163 -3.304009 -0.02 -0.02 0.02
C 0.225175 -0.845815 -5.200970 0.00 -0.02 -0.03
H 0.030044 -1.933043 6.018296 0.01 0.01 0.02
H 3.378030 1.507849 4.271064 0.02 0.00 0.01
H 1.357156 0.681027 6.304013 0.00 0.00 0.01
H -0.715994 -0.333946 5.910978 -0.01 0.00 -0.01
C -4.360692 0.763527 -0.682657 -0.04 0.14 0.03
H 2.739103 0.823851 -1.429704 -0.03 0.00 -0.05
H 2.426619 -0.753156 -0.681108 0.00 0.00 -0.02
H 3.953183 0.116301 5.195270 0.01 -0.01 0.00
N -2.598580 -0.975931 -0.206788 0.09 0.02 -0.07
Pd -0.935364 0.555276 -0.095794 -0.42 0.16 -0.88
H -2.175450 -1.803789 -0.615736 -0.05 -0.03 0.04
C 3.366122 0.416140 4.326902 0.00 -0.05 0.00
C 1.153985 -0.483749 3.498298 0.02 0.01 -0.17
H -1.863619 -1.764270 4.063636 0.00 -0.01 -0.02
C 2.186710 0.406041 1.539893 -0.04 0.09 -0.10
N 2.034704 -0.121250 4.474482 -0.01 0.13 0.17
H -4.260979 2.822587 -1.261795 0.04 0.02 -0.02
N 0.073669 -1.065157 4.098118 -0.01 -0.14 0.08
C 0.508457 1.664084 0.389074 -0.13 -0.41 0.82
N 1.571189 0.850549 0.268274 0.32 0.29 0.21
N 0.825173 0.001914 -1.814367 -0.02 0.08 0.05
********
• Back to the piece:

Appeal of Majestic Industries, Inc.
March 14, 1977

Vincent T. McCarthy, Chairman
Jay E. Eisen, Member
Barbara J. Faulkner, Member
Panel 76-10

This is an appeal filed on August 31, 1976, by Majestic
Industries, Inc., hereinafter referred to as "Contractor" or
"appellant", pursuant to the disputes clause of the contract, GPO
Form 198, United States Government Printing Office Contract Terms
No.l, Article 18.  The General Counsel has been designated by the
Public Printer to determine appeals under the disputes clause.

Findings of Fact

(a)  This case arises out of a contract entered into by the
appellant and the U.S. Government Printing Office, hereinafter
referred to as GPO, for the production of 175,000 3-ring 3/4"
plastic "camouflage" binders.  On June 26, 1976, an additional
500 binders were ordered (F.E. 4); and on July 19, 1976, an
additional 1646 were requested by the ordering agency, HQ TRADOC,
Fort Monroe, Virginia, for a total of 177,146 binders.  (F.E.8)

(b)  The contract, designated as GPO Jacket Number 638-344,
Purchase Order No. E0571 (F.E. 11A) is a fixed price agreement
for the procurement of 3-ring polyethylene binders, awarded on
April 23, 1976, at a cost of $46.90 per 100, or a total of
$82,846.97 for the 177,146 binders ultimately supplied.

(c)  The specifications required the contractor to furnish
camouflage binders "to fit sheet 8" x 10 1/2" punched with 3
round holes, diameter C to C on the left 10 1/2" edge.  Binder
size to approximate 11 1/2" x 9"  (F. E. 11A).  A sample from a
previous printing was furnished by GPO and mentioned under the
headings of composition and printing to serve as a model for
color and composition.  (F. E. 11(A) p. 2.)

(d)  The shipment schedule required the model to be furnished by
April 30, 1976, and shipment to be completed by June 29, 1976.
However, as the model was not received by the Contractor until
May 8, 1976, an extension of the shipping date was granted until
July 8, 1976.  Partial shipments were accepted by the ordering
agency, HQ. TRADOC, Fort Monroe, Virginia, as follows:

June 29   114,796   binders
July 4   19,168
July 6   41,536
July 20   1,646

On July 13, 1976, the GPO Hampton Regional Printing Procurement
Office received notification from TRADOC that the binders did not
conform to specifications in that "the front and back covers were
11 1/2'' x 9 7/8" instead of the specified 11 1/2" x 9".  (F.E.
6) Although the binders were considered usable despite the
discrepancy, HQ. TRADOC recommended that the contractor be
"penalized", because the binder "was for the capstone 'How to
Fight' field manual in the Army and [was] much larger than
desired or order." [sic] Other reasons for the Army's
recommendation were that the manual "was cumbersome to use
because the edge of the cover overhangs the text by over an inch
. . . the cover tends to curve around the text edge giving a
shoddy appearance . . . and the delivered binders do not fit
properly on book shelves with the other 40 'How to Fight'
manuals." (F.E. 6)

(e)  On July 15, 1976, the contractor was notified by mail that
the binders did not conform to specifications and that a
deduction of 4% of the contract price would be made from the
Contractor's account.  (F.E. ll(c)).  The Contractor thereupon
filed its formal notice of appeal by letter dated August 31,
1976, submitting such evidence on its behalf as is contained in
F. E. ll(A), (C), (D) and (E).  Exhibit (B), in the contractor's
possession, is the sample sent to it by the ordering agency after
the bid was awarded.  Its overall dimensions, according to the
contractor, are 11 1/2" x 9 7/8". (F.E. 11)

Questions Presented

The questions presented are:

(1)  whether the binders manufactured under this contract
conformed to the specifications; and, if not,

(2)  whether the 4% deduction from the contract price was a
proper measure of damages.

These molecular data were left in the piece by mistake =
********
Below is a cluster of 5 separate species, C15H36FN3O10P in total at a distorted geometry, with properties calculated with wB97M-V/def2-TZVPD.

Output
Spin multiplicity ... 1
Frontier orbital gap ... 0.259 Ha
Net charge ... -1
ΔE to the lowest compared entry with this formula, charge and spin ... 1.068 eV
Maximum force ... 2.7 eV/A

Each line ends with the natural charge from an NBO analysis.
Element x y z (Å)
F (-0.563, 0.169, 0.477)  -0.96
O (0.011, 2.728, -1.259)  -1.07
P (-0.285, 2.323, -2.639)  2.41
N (0.641, 0.997, -3.139)  -0.83
C (0.708, 0.537, -4.523)  -0.40
C (0.980, -0.037, -2.130)  -0.43
N (0.060, 3.590, -3.708)  -0.81
C (-0.016, 3.539, -5.161)  -0.40
C (0.734, 4.746, -3.126)  -0.41
N (-1.859, 1.866, -2.968)  -0.82
C (-2.913, 2.868, -2.967)  -0.40
C (-2.243, 0.532, -2.544)  -0.44
H (1.372, 1.205, -5.073)  0.18
H (-0.314, 0.488, -4.922)  0.18
H (1.140, -0.453, -4.664)  0.20
H (1.631, -0.793, -2.560)  0.17
H (0.100, -0.481, -1.656)  0.23
H (1.476, 0.484, -1.309)  0.24
H (0.904, 3.131, -5.574)  0.18
H (-0.895, 2.954, -5.432)  0.21
H (-0.193, 4.538, -5.567)  0.18
H (0.015, 5.569, -3.001)  0.17
H (1.065, 4.556, -2.109)  0.26
H (1.508, 5.103, -3.808)  0.17
H (-3.627, 2.576, -3.744)  0.17
H (-3.435, 2.881, -2.004)  0.19
H (-2.544, 3.872, -3.163)  0.21
H (-3.246, 0.212, -2.843)  0.18
H (-2.171, 0.454, -1.450)  0.26
H (-1.582, -0.199, -3.012)  0.20
C (2.136, -1.555, 1.372)  -0.29
O (3.338, -0.995, 1.954)  -0.51
C (3.257, 0.289, 2.284)  0.97
O (2.425, 1.080, 1.956)  -0.58
O (4.372, 0.583, 2.985)  -0.53
C (4.436, 1.819, 3.647)  -0.26
H (2.310, -2.614, 1.216)  0.19
H (1.721, -0.912, 0.593)  0.25
H (1.334, -1.542, 2.118)  0.20
H (5.468, 2.157, 3.750)  0.18
H (3.995, 1.772, 4.643)  0.17
H (3.959, 2.589, 3.035)  0.21
C (-1.593, -2.983, -0.536)  -0.28
O (-2.327, -3.961, 0.215)  -0.51
C (-1.737, -4.738, 1.115)  0.99
O (-0.591, -4.750, 1.466)  -0.64
O (-2.676, -5.504, 1.623)  -0.51
C (-2.424, -6.294, 2.767)  -0.25
H (-2.136, -2.048, -0.643)  0.23
H (-1.362, -3.489, -1.474)  0.17
H (-0.645, -2.626, -0.126)  0.24
H (-1.750, -7.106, 2.480)  0.18
H (-3.292, -6.763, 3.219)  0.19
H (-1.910, -5.659, 3.490)  0.20
C (1.649, -0.038, 5.699)  -0.25
O (0.726, -0.913, 5.114)  -0.51
C (-0.250, -0.441, 4.357)  0.97
O (-0.352, 0.674, 3.923)  -0.60
O (-1.043, -1.466, 4.056)  -0.52
C (-2.090, -1.295, 3.109)  -0.29
H (1.163, 0.664, 6.384)  0.17
H (2.150, 0.567, 4.941)  0.19
H (2.403, -0.561, 6.282)  0.19
H (-3.010, -0.938, 3.578)  0.16
H (-2.390, -2.270, 2.718)  0.17
H (-1.722, -0.691, 2.266)  0.29


Below is a cluster of 2 separate species, C15H36FN4O3S in total at a distorted geometry, with properties calculated with wB97M-V/def2-TZVPD.

Output
Spin multiplicity ... 1
Frontier orbital gap ... 0.344 Ha
Net charge ... +1
Maximum force ... 1.6 eV/A

Each line ends with the natural charge from an NBO analysis.
Element x y z (Å)
C (-1.142, 5.346, -1.821)  -0.62
C (-2.334, 4.999, -2.748)  -0.40
C (-2.942, 3.582, -2.465)  -0.42
C (-2.664, 2.680, -3.663)  -0.22
********
End of the molecular data =


The contractor argues that the 11 1/2" x 9 7/8" binders produced
under the contract were in conformance with the specifications
because the industry standard binder measures 11 1/2" x 9 7/8",
the sample furnished by the government to the contractor also
measured 11 1/2" x 9 7/8", and because the specifications
required the binders dimensions to approximate 11 1/2" x 9" (F.E.
ll(D)).  Since the ambiguous specifications were created by the
GPO, the Contractor contends, the government should bear the
responsibility for any deficiency in the end product.

A detailed examination of the specifications, however, clearly
reveals that the binders produced by the Contractor did not
conform to the dimensions ordered by HQ. TRADOC.  Although the
ordering agency required a product to approximate 11 1/2'' x 9",
it received instead a product measuring closer to 11 1/2" x 10."
The Contractor claims that the specifications were confusing and
ambiguous, in that the sample provided by the GPO measured 11
1/2" x 9 7/8".  However, a thorough reading of the specifications
is sufficient to show that the sample was to serve as a model for
composition and color only, rather than overall construction:

"Composition:  None.  Camera copy and a complete set of offset
positives furnished.  Contractor also to receive a sample from a
previous printing. . . .

"Printing:  Clear, sharp silk screening in green (2 shades) and
black.  Covers 1 and 4 bleed top, bottom and outside.  Match
furnished sample for colors." (F.E. ll(A), page 1 and 2)

The Contractor appears to base its claim that the specifications
were ambiguous upon the use of the word "approximate".  Without a
doubt, the employment of such a word introduces a certain amount
of indistinctness in regard to the exact dimensions of the
product required.  However, the effect of its use is not to
permit the contractor to ignore the specifications and
manufacture a product almost a full inch larger than the 11 1/2"
x 9" desired.

As to just how much leeway the term "approximate" allows, the
United States Court of Appeals, Ninth Circuit defines it as
meaning "approaching or nearly." Tonkoff v. Barr, 245 F.2d 742,
at 749 (1957). Webster's new collegiate dictionary defines the
word "approximately" to mean "nearly correct or exact".  (G & C
Merriam Co., 1974)  Furthermore, a government survey of a number
of sources in the ring binder industry shows that the term
"approximate" is interpreted by the industry to permit a leeway
of 1/8" to 1/4", not 7/8'' of an inch.  Since Majestic has
produced a product "approaching or nearly" 11 1/2" x 10" rather
than 11 1/2" x 9" it cannot be said to have conformed to

Between two parts of the piece: data records:
┌──
[1]
DFT (the ωB97M-V functional and the def2-TZVPD basis) results for C12H24AuN6O6 as an isolated structure at a distorted geometry.

```
49
Properties=species:S:1:pos:R:3:forces:R:3
O 0.622023 -0.421640 -3.408063 -1.10 1.55 1.43
H 1.472819 -0.013410 -3.072686 -0.68 -0.50 -0.48
Au 0.290460 -0.233521 -0.348428 -0.99 -0.02 1.71
N 0.076048 1.613334 0.602561 -0.38 1.40 0.64
N 1.884177 0.874199 -1.148906 1.16 0.67 -1.88
N -1.299318 -0.995236 0.742714 -1.28 -3.51 -0.11
N 0.023835 -2.140129 -1.119011 -2.29 -2.72 -0.01
O -0.883809 1.973243 1.390056 1.62 -0.28 -0.89
O -2.009533 -0.289901 1.627516 0.55 0.97 0.18
O 0.566659 -2.605188 -2.260151 0.22 0.50 -0.24
O 2.698063 0.498492 -2.078534 -0.74 1.11 1.19
C 2.098371 2.050376 -0.533816 0.43 -0.24 -0.13
C 1.115919 2.454717 0.402158 -0.45 0.29 0.45
C -1.535980 -2.303775 0.603772 -0.33 3.32 1.83
C -0.788106 -2.943820 -0.431479 2.52 0.65 -2.44
C 1.126641 3.710045 1.194041 0.52 0.58 -0.11
H 1.177218 3.492689 2.270144 -0.13 -0.03 -0.28
H 0.221433 4.303234 1.011217 0.14 -0.24 0.07
H 1.994828 4.318746 0.928751 -0.23 -0.06 0.13
C 3.340396 2.761351 -0.910186 0.31 0.90 0.30
H 3.368304 2.956098 -1.991062 -0.02 -0.17 0.27
H 4.223973 2.159921 -0.651536 -0.29 0.06 -0.14
H 3.417984 3.717295 -0.387020 0.06 -0.18 -0.14
C -2.525450 -3.006248 1.465731 -0.27 -0.20 0.03
C -0.935992 -4.378099 -0.792871 -0.21 -0.31 -0.08
H -3.024527 -2.307163 2.142849 0.17 -0.16 -0.22
H -2.031326 -3.782207 2.065728 -0.05 0.14 -0.17
H -3.283055 -3.503941 0.847447 0.13 0.07 0.14
H -0.333588 -4.611676 -1.675313 -0.18 0.09 0.25
H -1.986983 -4.612818 -1.003843 0.19 0.02 0.03
H -0.619644 -5.026909 0.033862 -0.06 0.17 -0.09
H -1.556511 0.664269 1.578313 -1.01 -1.04 0.32
H 0.623100 -1.703648 -2.869658 0.10 -1.03 0.70
C -0.537054 0.355972 -2.764325 0.26 0.10 -2.93
H -0.200904 1.201025 -2.136434 -0.21 -0.60 -0.66
H -1.248488 -0.319307 -2.264183 0.52 0.26 -0.34
H -1.044171 0.786675 -3.638413 -0.02 -0.06 0.29
O -3.871282 2.466438 0.559263 0.72 -0.57 0.17
H -4.157250 1.538316 0.604330 0.06 0.47 0.01
H -2.934486 2.436490 0.842570 -0.80 0.12 -0.20
N 3.277195 -1.409294 -0.347284 0.02 -0.31 1.06
C 4.314072 -1.867735 0.378101 -0.50 0.08 0.68
C 3.901118 -1.869938 1.706934 0.01 -0.02 -0.24
C 2.577211 -1.389344 1.705467 0.95 -0.23 -1.09
N 2.217179 -1.109428 0.449350 1.67 -0.80 0.53
H 3.280867 -1.180384 -1.340082 -0.27 -0.14 0.46
H 5.243265 -2.154416 -0.088323 -0.04 0.01 0.07
H 4.466022 -2.173757 2.564511 0.18 -0.08 0.09
H 1.900376 -1.238497 2.535522 0.02 0.00 -0.17
```
Positions in Å, forces in eV/Å.

* LUMO energy (spin up / spin down): -4.5 / -6.0 eV
* net charge: +1
* <S²>: 2.091
* multiplicity: 3
* orbital gap (spin up / spin down): 0.2278 / 0.2218 Ha

[2]
DFT (the ωB97M-V functional and the def2-TZVPD basis) results for C12H24CaNO4P2 as an isolated structure at a distorted geometry.

```
44
Properties=species:S:1:pos:R:3:forces:R:3
Ca -0.547335 0.090548 1.108338 1.00 -1.11 -2.61
P -2.595955 -1.425312 0.126973 0.22 -0.58 -1.06
└──

The Government is entitled to a product which has been
manufactured in conformance with the specifications.  Inasmuch as
the evidence clearly shows that the Contractor has failed to meet
the specifications, that portion of the appeal is denied.

The second question is whether the 4% deduction from the contract
price was a proper measure of damages.  The general rule of law
in regard to one who commits a breach of contract is that the
offending party must make compensation therefor to the injured
party.  "In determining the amount of this compensation . . . the
aim in view is to put the injured party in as good a position as
he would have had if the performance had been rendered as
promised." (5 Corbin on Contracts 992, page 5).

The 4% assessment against the contractor in this case, although
improperly characterized as a "penalty", is a proper measure of
damages, being a fair and just amount to put the government in
"as good a position as it would have had" if the performance of
the contract had been rendered according to specifications.
Therefore the contractor's appeal of the deduction of 4% of the
contract price is denied.

For the foregoing reasons, the entire appeal is denied.